[Listing]
+++
Entry from OMol25: 5 unconnected molecules or ions with the total composition C19H27F4N4O12 (the ωB97M-V functional and the def2-TZVPD basis).

The value obtained for the total energy is -61534.3659 eV. The calculation puts the LUMO energy at -3.64 eV. The calculation puts the frontier orbital gap at 9.312 eV.

Geometry as ORCA input:
```
! RIJCOSX wB97M-V def2-TZVPD def2/J DEFGRID3
* xyz 1 1
C -0.377 -0.142 1.169
C -1.567 -0.623 0.260
N -2.778 -0.434 0.690
C -1.443 -1.367 -1.117
N -0.175 -1.125 -1.839
C 0.457 0.045 -1.962
N -0.237 1.265 -2.152
C 0.291 2.396 -1.330
C 1.851 2.459 -1.505
C 2.486 1.076 -1.096
N 1.901 -0.004 -1.939
H -0.798 0.575 1.952
H 0.079 -0.991 1.766
H 0.439 0.421 0.636
H -2.778 0.052 1.593
H -2.357 -1.175 -1.765
H -1.480 -2.480 -0.892
H 0.233 -1.922 -2.340
H -1.252 1.155 -2.081
H -0.177 3.369 -1.673
H -0.050 2.244 -0.266
H 2.054 2.682 -2.594
H 2.276 3.248 -0.817
H 3.593 1.117 -1.350
H 2.449 0.868 0.016
H 2.223 -0.936 -1.658
C 4.400 1.446 -4.037
C 3.849 2.317 -5.125
O 4.966 2.530 -5.960
C 5.751 1.423 -5.818
O 6.630 1.127 -6.556
O 5.392 0.694 -4.723
F 3.438 3.515 -4.633
H 4.871 2.022 -3.235
H 3.643 0.793 -3.602
H 3.040 1.859 -5.702
C -5.787 -1.519 0.838
C -5.997 -2.779 0.056
O -6.973 -3.465 0.813
C -7.708 -2.497 1.433
O -8.768 -2.681 1.934
O -7.075 -1.291 1.398
F -4.864 -3.531 0.023
H -5.057 -1.639 1.642
H -5.480 -0.684 0.209
H -6.364 -2.623 -0.962
C 1.320 -4.987 1.710
C 1.351 -3.821 2.648
O 2.467 -3.076 2.193
C 2.563 -3.332 0.861
O 3.212 -2.683 0.097
O 1.826 -4.416 0.504
F 1.585 -4.220 3.918
H 1.975 -5.801 2.029
H 0.314 -5.382 1.566
H 0.454 -3.195 2.619
C -0.011 3.578 5.308
C -0.274 4.255 3.999
O -0.511 3.166 3.122
C -1.029 2.177 3.897
O -1.594 1.215 3.465
O -0.832 2.415 5.215
F 0.817 4.930 3.567
H 1.033 3.276 5.423
H -0.294 4.193 6.161
H -1.141 4.920 4.001
*
```


[1]
# C5H14N2

A gas-phase ion, C5H14N2 (charge -1) in a non-equilibrium geometry (ωB97M-V/def2-TZVPD, the OMol25 dataset).

## Properties
* net charge: -1
* frontier orbital gap (alpha / beta): 2.50 / 9.09 eV
* LUMO energy (alpha / beta): 3.96 / 3.81 eV
* multiplicity: 2

Last column: Löwdin charge in e.
Cartesian coordinates (Å):
H 2.106 0.813 0.236  0.077
H -1.994 2.236 -0.120  0.089
C 2.479 -0.087 0.837  -0.173
H 1.806 -0.163 1.703  0.048
N -1.703 0.896 1.507  -0.069
N 2.059 -1.198 -0.090  -0.144
C -0.606 -0.865 -0.816  -0.319
C 0.892 -0.986 -1.117  -0.248
H 1.034 -1.720 -1.852  0.055
H -1.619 -0.069 1.703  -0.041
H 1.866 -2.066 0.472  0.071
H 0.162 1.077 -0.015  0.094
C -0.674 0.650 -0.624  -0.285
H -2.505 1.242 2.059  -0.003
H 3.471 -0.092 1.209  0.032
H -1.025 -1.553 -0.047  0.053
H -1.155 -1.196 -1.618  0.031
C -1.969 1.058 0.087  -0.518
H -3.052 0.884 -0.343  0.056
H -0.732 1.110 -1.581  0.080
H 1.159 0.029 -1.592  0.113

[2]
# C5H14N2

A molecular structure, C5H14N2 in a non-equilibrium geometry (ωB97M-V/def2-TZVPD, the OMol25 dataset).

## Properties
* net charge: -1
* frontier orbital gap (alpha / beta): 2.87 / 9.43 eV
* LUMO energy (alpha / beta): 4.21 / 4.05 eV
* multiplicity: 2

Last column: Löwdin charge in e.
Cartesian coordinates (Å):
H -3.164 1.002 0.306  0.039
C -2.411 0.344 0.753  -0.175
N 2.530 -0.243 0.818  -0.017
H -0.121 -1.063 0.962  0.102
H -0.458 1.841 -0.804  -0.008
H 0.070 -1.812 -0.495  0.075
H -1.630 0.937 1.220  0.039
H 0.468 0.975 0.582  0.069
C -1.815 -0.640 -0.300  -0.357
H 3.495 -0.505 0.876  0.031
H 2.673 0.517 -1.156  0.081
H -2.888 -0.222 1.560  0.050
H -2.301 -1.576 -0.021  0.073
H -1.984 -0.235 -1.297  0.038
H 2.063 -1.154 -1.023  0.076
C 0.583 0.268 -0.653  -0.616
C -0.317 -0.862 -0.097  -0.260
H 2.361 0.616 1.329  0.049
N 0.394 1.694 -0.244  0.010
H 0.402 0.279 -1.752  0.058
C 2.051 -0.160 -0.564  -0.355

[3]
# C5H14N2

A single C5H14N2 molecule in a non-equilibrium geometry (ωB97M-V/def2-TZVPD, the OMol25 dataset).

## Properties
* net charge: 0
* structure (SMILES): CNCCCCN
* frontier orbital gap: 9.68 eV
* LUMO energy: 1.07 eV

Last column: Löwdin charge in e.
Cartesian coordinates (Å):
+++

[Exercise]
Print all of the data further above exactly.

[Reply]
Entry from OMol25: 5 unconnected molecules or ions with the total composition C19H27F4N4O12 (the ωB97M-V functional and the def2-TZVPD basis).

The value obtained for the total energy is -61534.3659 eV. The calculation puts the LUMO energy at -3.64 eV. The calculation puts the frontier orbital gap at 9.312 eV.

Geometry as ORCA input:
```
! RIJCOSX wB97M-V def2-TZVPD def2/J DEFGRID3
* xyz 1 1
C -0.377 -0.142 1.169
C -1.567 -0.623 0.260
N -2.778 -0.434 0.690
C -1.443 -1.367 -1.117
N -0.175 -1.125 -1.839
C 0.457 0.045 -1.962
N -0.237 1.265 -2.152
C 0.291 2.396 -1.330
C 1.851 2.459 -1.505
C 2.486 1.076 -1.096
N 1.901 -0.004 -1.939
H -0.798 0.575 1.952
H 0.079 -0.991 1.766
H 0.439 0.421 0.636
H -2.778 0.052 1.593
H -2.357 -1.175 -1.765
H -1.480 -2.480 -0.892
H 0.233 -1.922 -2.340
H -1.252 1.155 -2.081
H -0.177 3.369 -1.673
H -0.050 2.244 -0.266
H 2.054 2.682 -2.594
H 2.276 3.248 -0.817
H 3.593 1.117 -1.350
H 2.449 0.868 0.016
H 2.223 -0.936 -1.658
C 4.400 1.446 -4.037
C 3.849 2.317 -5.125
O 4.966 2.530 -5.960
C 5.751 1.423 -5.818
O 6.630 1.127 -6.556
O 5.392 0.694 -4.723
F 3.438 3.515 -4.633
H 4.871 2.022 -3.235
H 3.643 0.793 -3.602
H 3.040 1.859 -5.702
C -5.787 -1.519 0.838
C -5.997 -2.779 0.056
O -6.973 -3.465 0.813
C -7.708 -2.497 1.433
O -8.768 -2.681 1.934
O -7.075 -1.291 1.398
F -4.864 -3.531 0.023
H -5.057 -1.639 1.642
H -5.480 -0.684 0.209
H -6.364 -2.623 -0.962
C 1.320 -4.987 1.710
C 1.351 -3.821 2.648
O 2.467 -3.076 2.193
C 2.563 -3.332 0.861
O 3.212 -2.683 0.097
O 1.826 -4.416 0.504
F 1.585 -4.220 3.918
H 1.975 -5.801 2.029
H 0.314 -5.382 1.566
H 0.454 -3.195 2.619
C -0.011 3.578 5.308
C -0.274 4.255 3.999
O -0.511 3.166 3.122
C -1.029 2.177 3.897
O -1.594 1.215 3.465
O -0.832 2.415 5.215
F 0.817 4.930 3.567
H 1.033 3.276 5.423
H -0.294 4.193 6.161
H -1.141 4.920 4.001
*
```


[1]
# C5H14N2

A gas-phase ion, C5H14N2 (charge -1) in a non-equilibrium geometry (ωB97M-V/def2-TZVPD, the OMol25 dataset).

## Properties
* net charge: -1
* frontier orbital gap (alpha / beta): 2.50 / 9.09 eV
* LUMO energy (alpha / beta): 3.96 / 3.81 eV
* multiplicity: 2

Last column: Löwdin charge in e.
Cartesian coordinates (Å):
H 2.106 0.813 0.236  0.077
H -1.994 2.236 -0.120  0.089
C 2.479 -0.087 0.837  -0.173
H 1.806 -0.163 1.703  0.048
N -1.703 0.896 1.507  -0.069
N 2.059 -1.198 -0.090  -0.144
C -0.606 -0.865 -0.816  -0.319
C 0.892 -0.986 -1.117  -0.248
H 1.034 -1.720 -1.852  0.055
H -1.619 -0.069 1.703  -0.041
H 1.866 -2.066 0.472  0.071
H 0.162 1.077 -0.015  0.094
C -0.674 0.650 -0.624  -0.285
H -2.505 1.242 2.059  -0.003
H 3.471 -0.092 1.209  0.032
H -1.025 -1.553 -0.047  0.053
H -1.155 -1.196 -1.618  0.031
C -1.969 1.058 0.087  -0.518
H -3.052 0.884 -0.343  0.056
H -0.732 1.110 -1.581  0.080
H 1.159 0.029 -1.592  0.113

[2]
# C5H14N2

A molecular structure, C5H14N2 in a non-equilibrium geometry (ωB97M-V/def2-TZVPD, the OMol25 dataset).

## Properties
* net charge: -1
* frontier orbital gap (alpha / beta): 2.87 / 9.43 eV
* LUMO energy (alpha / beta): 4.21 / 4.05 eV
* multiplicity: 2

Last column: Löwdin charge in e.
Cartesian coordinates (Å):
H -3.164 1.002 0.306  0.039
C -2.411 0.344 0.753  -0.175
N 2.530 -0.243 0.818  -0.017
H -0.121 -1.063 0.962  0.102
H -0.458 1.841 -0.804  -0.008
H 0.070 -1.812 -0.495  0.075
H -1.630 0.937 1.220  0.039
H 0.468 0.975 0.582  0.069
C -1.815 -0.640 -0.300  -0.357
H 3.495 -0.505 0.876  0.031
H 2.673 0.517 -1.156  0.081
H -2.888 -0.222 1.560  0.050
H -2.301 -1.576 -0.021  0.073
H -1.984 -0.235 -1.297  0.038
H 2.063 -1.154 -1.023  0.076
C 0.583 0.268 -0.653  -0.616
C -0.317 -0.862 -0.097  -0.260
H 2.361 0.616 1.329  0.049
N 0.394 1.694 -0.244  0.010
H 0.402 0.279 -1.752  0.058
C 2.051 -0.160 -0.564  -0.355

[3]
# C5H14N2

A single C5H14N2 molecule in a non-equilibrium geometry (ωB97M-V/def2-TZVPD, the OMol25 dataset).

## Properties
* net charge: 0
* structure (SMILES): CNCCCCN
* frontier orbital gap: 9.68 eV
* LUMO energy: 1.07 eV

Last column: Löwdin charge in e.
Cartesian coordinates (Å):